Brief:
Now filter the data further down: keep the lines with the word "H9".

Contents:
........
A 2-piece molecular cluster, C4H14N2O overall, computed with the ωB97M-V functional and the def2-TZVPD basis.

The expectation value of S² is 0.75. Its energy relative to the best compared isomer or geometry (same formula, charge and spin) is 1.617 eV. The calculation puts the molar mass at 106.17 u. Its total charge is -1. Its spin multiplicity is 2.

XYZ file:
```
21
Properties=species:S:1:pos:R:3:lowdin_charge:R:1
C 1.005 2.162 -0.416 -0.178
C 0.852 0.813 0.260 -0.516
C 2.245 0.146 0.329 -0.154
N -0.020 -0.256 -0.281 -0.093
C -1.362 -0.064 -0.736 -0.554
N -1.896 -1.108 -1.523 -0.040
H 1.795 2.826 0.028 0.074
H 1.328 2.053 -1.359 0.005
H -0.012 2.700 -0.381 0.068
H 0.565 1.001 1.351 0.101
H 2.774 0.719 1.095 0.049
H 2.064 -0.924 0.672 0.078
H 2.837 0.181 -0.641 0.081
H 0.396 -0.823 -1.082 0.132
H -2.040 -0.031 0.114 0.046
H -1.509 1.008 -1.232 0.102
H -1.373 -1.460 -2.340 0.062
H -2.828 -1.489 -1.379 0.040
H -0.855 -1.265 2.965 -0.039
H -0.903 -0.830 1.492 -0.038
O -0.659 -1.558 2.088 -0.224
```

=====

No. 1
Here is the molecule C4H8O2 from the Open Molecules 2025 dataset. Energies are from wB97M-V/def2-TZVPD.

Each line ends with the Mulliken charge.
Element x y z (Å)
C1 -0.8386 -1.0846 -0.5346  -0.932
C2 -0.5849 0.3370 -1.0356  -0.343
O1 0.6736 0.9171 -0.7141  -0.375
C3 1.2569 0.6152 0.5290  -0.271
C4 0.3080 0.3887 1.6914  -0.042
O2 0.5871 -0.3132 2.6362  -0.481
H1 -0.6188 -1.2292 0.5278  0.319
H2 -0.2523 -1.8210 -1.0925  0.276
H3 -1.9053 -1.3019 -0.6591  0.328
H4 -0.6260 0.3438 -2.1318  0.301
H5 -1.3917 1.0023 -0.6926  0.277
H6 1.8648 1.4876 0.8035  0.307
H7 1.9362 -0.2451 0.4708  0.267
H8 -0.6631 0.9263 1.6370  0.370

LUMO	0.956	eV
SMILES string	CCOCC=O
max |F|	0.7	eV/A
net charge	0
relative energy (zero: lowest compared OMol25 entry of this formula, charge and spin)	182.8	kJ/mol
frontier orbital gap	10.75	eV

=====

No. 2
Here is a cluster of 19 separate species, C9H54NO19 in total from the Open Molecules 2025 dataset. Energies are from wB97M-V/def2-TZVPD.

Each line ends with the Mulliken charge.
Element x y z (Å)
C1 0.3663 2.4871 -0.5746  -1.341
C2 0.1945 0.9557 -0.3213  2.438
C3 1.6539 0.4845 -0.0401  -1.524
C4 1.6671 -1.0437 0.2912  -0.341
C5 0.8669 -1.2173 1.5410  -1.666
C6 -0.5807 -0.6970 1.4827  1.525
N1 -0.6204 0.6163 0.8701  1.202
O1 -1.9059 1.2150 0.9139  -0.079
C7 -0.9996 -0.5621 2.9719  -2.129
C8 -1.4400 -1.8108 0.8555  -0.756
C9 -0.3948 0.3863 -1.6287  -1.072
H1 -0.5704 2.8885 -0.9666  0.220
H2 1.1593 2.7199 -1.2824  0.178
H3 0.5566 2.9910 0.3726  0.062
H4 2.0807 0.9527 0.8502  0.364
H5 2.4287 0.6724 -0.7868  0.337
H6 2.7345 -1.2688 0.3671  0.368
H7 1.2256 -1.6609 -0.4973  0.082
H8 1.4357 -0.6884 2.3130  0.629
H9 0.8470 -2.2745 1.8243  0.256
H10 -2.0533 -0.2936 3.0285  0.355
H11 -0.3806 0.1743 3.4859  0.430
H12 -0.8028 -1.4743 3.5423  0.330
H13 -2.4532 -1.4702 0.6354  -0.771
H14 -1.5523 -2.6404 1.5529  0.282
H15 -1.1095 -2.2255 -0.1011  0.483
H16 -1.3861 0.7911 -1.8333  0.164
H17 -0.4697 -0.7037 -1.5958  -0.035
H18 0.2739 0.6311 -2.4576  0.007
O2 -4.5074 0.0534 0.5711  -0.681
H19 -4.8764 0.8811 0.8847  0.249
H20 -3.5559 0.1302 0.7604  0.375
O3 0.7603 -3.6391 5.3987  -0.634
H21 -0.1315 -3.7829 5.0700  0.315
H22 1.3114 -4.2173 4.8649  0.307
O4 2.2977 4.8509 2.3753  -0.663
H23 2.7267 4.7635 3.2293  0.282
H24 1.4723 4.3552 2.4683  0.408
O5 5.4576 1.0374 -0.0994  -0.677
H25 5.0046 0.4350 -0.7013  0.351
H26 5.3021 0.6675 0.7797  0.378
O6 -3.4849 -2.3880 -1.8018  -0.612
H27 -2.9404 -1.6347 -1.5438  0.295
H28 -4.1120 -2.0275 -2.4355  0.243
O7 1.7598 2.6346 -3.9386  -0.662
H29 2.1645 3.4165 -3.5367  0.343
H30 0.8074 2.8148 -3.9164  0.353
O8 -0.0351 3.0119 2.6850  -0.840
H31 -0.6617 3.7364 2.5909  0.296
H32 -0.3624 2.3330 2.0738  0.058
O9 4.5742 -1.1848 -1.8355  -0.663
H33 3.8385 -1.7875 -1.6950  0.295
H34 4.2457 -0.5629 -2.4935  0.356
O10 -1.2209 -5.1638 1.0380  -0.700
H35 -2.1688 -5.2978 1.1299  0.332
H36 -1.0705 -4.2721 1.3661  0.445
O11 -5.1682 -3.5739 0.0962  -0.637
H37 -5.9587 -3.6980 -0.4333  0.277
........

Reply:
H9 0.8470 -2.2745 1.8243  0.256